
These ICT-based lessons are designed to bring together elements of Music, Maths and Business Studies in order to create a realistic scenario where students are responsible for organising a charity concert. 2010 is the 25th anniversary of Live Aid – the most high-profile of all charity concerts – and there have been many other examples over more recent years with which children will be familiar. Indeed, they may well have organised such an event themselves in school and this unit could be adapted to fit a school production, for example. Many of the skills covered will be the same.

Spreadsheet software is the key focus for this unit and students will use them in many different ways as they organise their event from scratch. Live Aid is used as an example of how to use a spreadsheet for various reasons, and some quite advanced functions are built into the tasks; however, we start from spreadsheet basics and include the finances behind the scenes of a charity show too.

Learning Outcomes

By the end of this unit of lessons, students should be able to…

  • Use the internet effectively, using the advanced search functions, to find data and information relating to music and concerts from the past
  • Use a spreadsheet to organise collected data into a useful and presentable format
  • Use a spreadsheet to calculate financial information such as income, expenditure and profit
  • Use a spreadsheet to calculate time
  • Use the if, countif and vlookup formulae within a spreadsheet system
  • Use the conditional formatting function within a spreadsheet system
  • Link together spreadsheets
  • Understand how a spreadsheet model can be used to experiment with different possible scenarios

Unit Structure

Lesson 1

  • To understand how spreadsheets can be used to store data and make calculations
  • To learn how to search the internet effectively by using advanced search techniques

All students must….

… be able to describe the elements of a spreadsheet and how they could be used; and also know how to use the advanced search functions of a search engine

Most students should

... be able to change variables in a spreadsheet to and see how calculations are made

Some could…

… begin to think about how they would create a balance sheet for their concert

Lesson 2

  • To understand what is meant by income and expenditure
  • To begin to develop an understanding of financial management and using budgets
  • To investigate how spreadsheets can be used to help keep track of finances

All students must….

… be able to explain what is meant by income and expenditure

Most students should

... be able to make the link between the two and understand the concept of using a budget

(Crystal structures from another source follow)
+++
Mn6O5F7 (PBE+U, relaxed); raw total energy = -119.8 eV/cell; offset from the most stable computed form = 30 meV/atom; formation enthalpy at 0 K = -2.410 eV per atom
1.0
4.729 0.000 0.000
0.131 5.706 0.000
0.158 0.521 7.887
Mn O F
6 5 7
Direct
0.000 0.000 0.000 Mn
0.002 0.666 0.331 Mn
0.455 0.149 0.323 Mn
0.473 0.482 0.004 Mn
0.485 0.813 0.640 Mn
0.943 0.342 0.675 Mn
0.173 0.697 0.099 O
0.283 0.201 0.110 O
0.289 0.867 0.423 O
0.780 0.281 0.904 O
0.792 0.635 0.554 O
0.173 0.357 0.449 F
0.184 0.022 0.751 F
0.287 0.523 0.763 F
0.668 0.134 0.542 F
0.671 0.784 0.887 F
0.680 0.445 0.247 F
0.779 0.954 0.226 F

=====

No. 1
The following is a DFT calculation (PBE with a Hubbard U) of a relaxed Li4Mn3Fe2Sn3O16 crystal.

a = 6.104 Å, b = 6.126 Å, c = 9.642 Å
α = 89.35°, β = 89.00°, γ = 60.36°
Fractional coordinates of all 28 atoms:
1 Li 0.325 0.332 0.114
2 Li 0.018 0.013 0.007
3 Li 0.011 0.010 0.499
4 Li 0.661 0.667 0.604
5 Mn 0.168 0.170 0.780
6 Mn 0.342 0.830 0.286
7 Mn 0.825 0.340 0.283
8 Fe 0.334 0.327 0.504
9 Fe 0.656 0.662 0.010
10 Sn 0.169 0.658 0.788
11 Sn 0.659 0.168 0.789
12 Sn 0.833 0.828 0.287
13 O 0.171 0.675 0.402
14 O 0.483 0.478 0.654
15 O 0.337 0.340 0.909
16 O 0.992 0.990 0.681
17 O 0.025 0.988 0.191
18 O 0.680 0.170 0.399
19 O 0.039 0.471 0.658
20 O 0.471 0.039 0.660
21 O 0.836 0.838 0.913
22 O 0.182 0.153 0.395
23 O 0.510 0.958 0.161
24 O 0.953 0.509 0.161
25 O 0.643 0.681 0.398
26 O 0.328 0.844 0.897
27 O 0.503 0.536 0.164
28 O 0.843 0.327 0.900

Calculated values
The value obtained for the magnetization is 21.00 μB/cell. As for the energy above the most stable polymorph in this dataset: 0.000 eV/atom. As for the electronic total energy: -6.40 eV per atom. As for the energy of formation from the pure elements: -2012.4 meV per atom.

No. 2
The following is a DFT calculation (PBE with a Hubbard U) of a relaxed Li2VP2O7 crystal.

a = 5.292 Å, b = 6.641 Å, c = 8.993 Å
α = 110.65°, β = 95.03°, γ = 107.12°
Fractional coordinates of all 24 atoms:
1 Li 0.111 0.756 0.016
2 Li 0.329 0.189 0.743
3 Li 0.671 0.811 0.257
4 Li 0.889 0.244 0.984
5 V 0.099 0.602 0.361
6 V 0.901 0.398 0.639
7 P 0.241 0.152 0.387
8 P 0.575 0.690 0.883
9 P 0.425 0.310 0.117
10 P 0.759 0.848 0.613
11 O 0.069 0.897 0.324
12 O 0.064 0.304 0.418
13 O 0.268 0.563 0.837
14 O 0.263 0.474 0.150
15 O 0.322 0.129 0.944
16 O 0.529 0.772 0.469
17 O 0.636 0.837 0.770
18 O 0.364 0.163 0.230
19 O 0.471 0.228 0.531
20 O 0.678 0.871 0.056
21 O 0.737 0.526 0.850
22 O 0.732 0.437 0.163
23 O 0.936 0.696 0.582
24 O 0.931 0.103 0.676

Calculated values
The value obtained for the magnetization is 6.00 μB/cell. As for the energy above the most stable polymorph in this dataset: 0.052 eV/atom. As for the electronic total energy: -6.94 eV per atom. As for the energy of formation from the pure elements: -2620.7 meV per atom.

No. 3
The following is a DFT calculation (PBE with a Hubbard U) of a relaxed LaFeBiO6 crystal.

a = 5.957 Å, b = 5.626 Å, c = 9.739 Å
α = 55.09°, β = 90.00°, γ = 90.00°
+++

Some could…

… begin to build their own spreadsheet system to make calculations

Lesson 3

  • To understand how spreadsheets can be used to compare variables and situations
  • To learn about how lists and pull down menus can be used to model scenarios
  • To learn about the vlookup and int formulas

All students must….

… be able to use a spreadsheet to select variables from a list and see the effect of their choices

Most students should

... be able to understand how the vlookup formula (and the int formula) works and how they can be applied

Some could…

… adapt the example system to create a similar one for their own charity concert

Lesson 4

  • To understand how spreadsheets can be used in the organisation of an event
  • To learn about the count formula and how it can be used
  • To learn about absolute cell referencing in formulas
  • To learn about and be able to apply conditional formatting

All students must….

… be able to use the theatre example spreadsheet to book tickets and to see the calculations which take place as a result

Most students should

... understand how the count and calculation formulas are used and why they are appropriate for such a booking system; adapt the system for their own event

Some could…

… create a similar system of their own

Lesson 5

  • To be able to see the link between different uses of spreadsheets
  • To connect together the different elements of their system
  • To develop teamwork skills

All students must….

… have created the three elements of their event system – a balance sheet, running order for the event and a ticket booking system

Most students should

... be able to connect together the different elements to create one large system

Some could…

… work together to develop their systems

Lesson 6

  • To evaluate the systems and consider what has been learned
  • To develop skills in self-evaluation
  • To consider what user documentation could be developed for the end user

All students must….

… be able to describe what they have done during the unit of work and how their system works

Most students should

... be able to explain the work done and how the system works, evaluating its worth in real life scenarios

Some could…

… produce some user documentation to assist the user of their finished systems

Additional Resources on the web:-

About Live Aid -

Live Aid Running Order -

Organising A Concert –

And for Excel help:-

…plus as you probably know, there are loads of resources at